# To do
Now count the lines below that contain the word "Ge" and give the number alone.

# Given
'''
[1]
Diffraction record for Li2GeRh2. The powder X-ray diffraction pattern is theoretical, not measured: it uses DFT lattice parameters and positions (PBE) and CuKα.

Crystal structure
Unit cell a=4.443 b=2.959 c=6.138 alpha=90.00 beta=111.06 gamma=90.00
Atoms (fractional coordinates):
Li (0.144, 0.000, 0.287)
Li (0.856, 0.000, 0.713)
Ge (0.500, 0.000, 0.000)
Rh (0.333, 0.500, 0.668)
Rh (0.667, 0.500, 0.332)

Most intense lines, 2θ = 10–80°, in order of rising 2θ:
2θ/deg  d [Å]  Rel. int.
21.45  4.142  100
30.88  2.896  21
34.10  2.629  31
40.61  2.221  27
43.71  2.071  44
43.77  2.068  43
47.63  1.909  16
54.04  1.697  16

[2]
Diffraction record for LiGe2Rh2. The powder X-ray diffraction pattern is theoretical, not measured: it uses DFT lattice parameters and positions (PBE) and CuKα.

Crystal structure
Unit cell a=4.340 b=5.521 c=7.186 alpha=74.70 beta=78.61 gamma=70.50
Atoms (fractional coordinates):
Li (0.247, 0.251, 0.251)
Li (0.753, 0.749, 0.749)
Ge (0.075, 0.738, 0.023)
Ge (0.424, 0.762, 0.477)
Ge (0.576, 0.238, 0.523)
Ge (0.925, 0.262, 0.977)
Rh (0.085, 0.065, 0.689)
Rh (0.416, 0.435, 0.811)
Rh (0.584, 0.565, 0.189)
Rh (0.915, 0.935, 0.311)

Most intense lines, 2θ = 10–80°, in order of rising 2θ:
2θ/deg  d [Å]  Rel. int.
23.62  3.767  98
23.89  3.725  95
24.07  3.697  63
39.30  2.293  100
41.57  2.172  88
41.91  2.156  68
42.39  2.132  52
47.84  1.902  56

[3]
Diffraction record for Li23GeRh6. The powder X-ray diffraction pattern is theoretical, not measured: it uses DFT lattice parameters and positions (PBE) and CuKα.

Crystal structure
Unit cell a=8.538 b=8.538 c=8.538 alpha=60.00 beta=60.00 gamma=60.00
Atoms (fractional coordinates):
Li (0.000, 0.000, 0.000)
Li (0.000, 0.000, 0.500)
Li (0.000, 0.500, 0.000)
Li (0.000, 0.500, 0.500)
Li (0.110, 0.630, 0.630)
Li (0.120, 0.120, 0.120)
Li (0.120, 0.120, 0.640)
Li (0.120, 0.640, 0.120)
Li (0.360, 0.880, 0.880)
Li (0.370, 0.370, 0.370)
Li (0.370, 0.370, 0.890)
Li (0.370, 0.890, 0.370)
Li (0.500, 0.000, 0.000)
Li (0.500, 0.000, 0.500)
Li (0.500, 0.500, 0.000)
Li (0.630, 0.110, 0.630)
Li (0.630, 0.630, 0.110)
Li (0.630, 0.630, 0.630)
Li (0.640, 0.120, 0.120)
Li (0.880, 0.360, 0.880)
Li (0.880, 0.880, 0.360)
Li (0.880, 0.880, 0.880)
Li (0.890, 0.370, 0.370)
Ge (0.500, 0.500, 0.500)
Rh (0.273, 0.273, 0.727)
Rh (0.273, 0.727, 0.273)
Rh (0.273, 0.727, 0.727)
Rh (0.727, 0.273, 0.273)
Rh (0.727, 0.273, 0.727)
Rh (0.727, 0.727, 0.273)

Most intense lines, 2θ = 10–80°, in order of rising 2θ:
2θ/deg  d [Å]  Rel. int.
12.70  6.971  52
14.67  6.037  96
25.56  3.486  100
29.59  3.019  82
33.18  2.700  40
38.75  2.324  37
42.34  2.134  88
50.11  1.820  35

[4]
Diffraction record for Li3Ge3Rh2. The powder X-ray diffraction pattern is theoretical, not measured: it uses DFT lattice parameters and positions (PBE) and CuKα.

Crystal structure
Unit cell a=5.515 b=5.515 c=12.862 alpha=90.00 beta=90.00 gamma=135.47
Atoms (fractional coordinates):
Li (0.075, 0.925, 0.612)
Li (0.075, 0.925, 0.888)
Li (0.361, 0.639, 0.750)
Li (0.639, 0.361, 0.250)
Li (0.925, 0.075, 0.112)
Li (0.925, 0.075, 0.388)
Ge (0.314, 0.686, 0.250)
Ge (0.394, 0.606, 0.550)
Ge (0.394, 0.606, 0.950)
Ge (0.606, 0.394, 0.050)
Ge (0.606, 0.394, 0.450)
Ge (0.686, 0.314, 0.750)
Rh (0.218, 0.782, 0.082)
Rh (0.218, 0.782, 0.418)
Rh (0.782, 0.218, 0.582)
Rh (0.782, 0.218, 0.918)

Most intense lines, 2θ = 10–80°, in order of rising 2θ:
2θ/deg  d [Å]  Rel. int.
13.77  6.431  92
17.37  5.104  100
24.03  3.704  79
27.16  3.283  93
34.70  2.585  44
40.13  2.247  77
43.29  2.090  45
51.84  1.764  70

[5]
Diffraction record for Li5Ge2Ru. The powder X-ray diffraction pattern is theoretical, not measured: it uses DFT lattice parameters and positions (PBE) and CuKα.

Crystal structure
Unit cell a=6.108 b=11.912 c=3.233 alpha=90.00 beta=90.00 gamma=90.00
Atoms (fractional coordinates):
Li (0.000, 0.000, 0.000)
Li (0.025, 0.249, 0.000)
Li (0.249, 0.380, 0.500)
Li (0.251, 0.880, 0.500)
Li (0.475, 0.749, 0.000)
Li (0.500, 0.500, 0.000)
'''

# Reply
12